common mistakes new business owner make

As a new business owner, you will make mistakes. Everyone does! It is all a part of the process of building a business from the ground up. There will be unplanned roadblocks, unexpected costs, and far far more. However, it is how you address these issues and bounce back from them that will show your character and strengthen your business.

How you deal with various challenges and mistakes will be the difference between owning a successful startup and a failed one. If you are wondering what some of the common mistakes of new business owners are, and how to avoid them, you came to the right place! 

Common Mistakes & How to Avoid Them

Here are the most common mistakes for new business owners, and how to avoid them.

Not Having a Plan

You can not rush the process when building a business. It is important to take the extra time to get organized and develop long and detailed plans. Yes, plans. Overall business plan, growth plan, financial plan, marketing plan, etc. 

Do your research by studying competitors and spaces in the market for a new product. Reflect on your own resources and expertise. Set goals for your company – What does your business look like 6 months down the road and 10 years down the road?

Trying to Get Rich Fast

Many business owners are eager to start making money, hoping to become rich overnight. Although this hunger for success is a great quality for an entrepreneur, being too eager can also hurt you in the long run. 

Building a business and becoming successful takes time, hard work, perseverance and even some luck. Never expect you will be making millions overnight. Be smart, be patient and with time your business, your business will be successful. 

Relying on Social Media

## What comes next are data records, not part of the page
<<<
[1]
8 unconnected molecules or ions with the total composition C25H71N7O8. Source: the Open Molecules 2025 dataset; level of theory: ωB97M-V with the def2-TZVPD basis set.

Results
* multiplicity: 1
* LUMO energy: 0.3 eV
* max |F|: 5.3 eV Å⁻¹
* structure (SMILES): COC[C@H](C)N.COC[C@H](C)N.COC[C@H](C)N.COC[C@H](C)N.COC[C@H](C)N.NC(N)=O.CCO.CCO
* HOMO energy: -8.8 eV
* Kohn-Sham gap: 9.07 eV

Last columns: bonded neighbours and bond lengths (Å).
Positions of all 111 atoms, in Å:
1 C -1.06 4.26 0.72  C2 1.533, H4 1.090, H5 1.090, H6 1.090
2 C 0.29 4.98 0.71  C1 1.533, O3 1.380, H7 1.090, H8 1.090
3 O 0.82 4.84 -0.55  C2 1.380, H9 0.960
4 H -1.04 3.21 1.03  C1 1.090
5 H -1.50 4.38 -0.27  C1 1.090
6 H -1.89 4.65 1.30  C1 1.090
7 H 0.89 4.61 1.54  C2 1.090
8 H 0.23 6.04 0.97  C2 1.090
9 H 0.78 3.92 -0.85  O3 0.960
10 C 3.44 -0.27 2.35  C11 1.606, H13 1.090, H14 1.090, H15 1.090
11 C 3.02 0.68 3.58  C10 1.606, O12 1.467, H16 1.090, H17 1.090
12 O 3.99 1.77 3.62  C11 1.467, H18 0.960
13 H 4.51 -0.50 2.30  C10 1.090
14 H 3.23 0.18 1.38  C10 1.090
15 H 2.99 -1.24 2.51  C10 1.090
16 H 3.11 0.12 4.51  C11 1.090
17 H 1.97 0.99 3.62  C11 1.090
18 H 3.40 2.48 3.88  O12 0.960
19 C 0.24 0.34 0.46  O20 1.232, N21 1.276, N22 1.288
20 O 0.38 1.51 0.09  C19 1.232
21 N 0.37 -0.17 1.62  C19 1.276, H23 1.010, H24 1.010
22 N -0.01 -0.57 -0.41  C19 1.288, H25 1.010, H26 1.010
23 H 0.26 -1.17 1.71  N21 1.010
24 H 0.45 0.51 2.36  N21 1.010
25 H -0.35 -0.34 -1.33  N22 1.010
26 H -0.20 -1.51 -0.07  N22 1.010
27 C 0.58 0.20 -4.07  C28 1.584, H33 1.090, H34 1.090, H35 1.090
28 C -0.97 0.43 -3.86  C27 1.584, C29 1.476, N32 1.473, H36 1.090
29 C -1.56 0.88 -5.13  C28 1.476, O30 1.464, H37 1.090, H38 1.090
30 O -1.18 2.19 -5.68  C29 1.464, C31 1.377
31 C -1.64 3.24 -4.91  O30 1.377, H39 1.090, H40 1.090, H41 1.090
32 N -1.54 -0.78 -3.25  C28 1.473, H42 1.010, H43 1.010
33 H 0.77 -0.68 -4.69  C27 1.090
34 H 1.13 -0.11 -3.18  C27 1.090
35 H 1.11 1.06 -4.49  C27 1.090
36 H -1.11 1.21 -3.10  C28 1.090
37 H -2.64 0.83 -5.01  C29 1.090
38 H -1.23 0.22 -5.94  C29 1.090
39 H -2.72 3.23 -4.81  C31 1.090
40 H -1.46 4.18 -5.43  C31 1.090
41 H -1.15 3.34 -3.95  C31 1.090
42 H -1.48 -1.48 -3.97  N32 1.010
43 H -2.54 -0.67 -3.33  N32 1.010
44 C -2.05 -1.50 3.61  C45 1.495, H50 1.090, H51 1.090, H52 1.090
45 C -1.97 -2.86 4.21  C44 1.495, C46 1.552, N49 1.482, H53 1.090
46 C -3.17 -3.77 3.84  C45 1.552, O47 1.419, H54 1.090, H55 1.090
47 O -3.15 -4.01 2.44  C46 1.419, C48 1.404
48 C -4.30 -4.69 2.00  O47 1.404, H56 1.090, H57 1.090, H58 1.090
49 N -0.69 -3.55 3.91  C45 1.482, H59 1.010, H60 1.010
50 H -1.34 -0.79 4.03  C44 1.090
51 H -3.08 -1.15 3.71  C44 1.090
52 H -1.82 -1.51 2.55  C44 1.090
53 H -2.00 -2.74 5.30  C45 1.090
54 H -4.10 -3.45 4.30  C46 1.090
55 H -2.92 -4.74 4.28  C46 1.090
56 H -5.21 -4.11 2.08  C48 1.090
57 H -4.46 -5.64 2.50  C48 1.090
58 H -4.27 -5.00 0.95  C48 1.090
59 H -0.57 -4.38 4.47  N49 1.010
60 H 0.00 -2.91 4.28  N49 1.010
>>>

Social media is an excellent piece of technology today. However, it should never be relied on to build a business. When you put 100% of your business on social media accounts, guess who has control of your business? Yes, the social media companies. They will have control over who sees your products and when. 

What should you do instead? Buy a domain and build a company website. When you have a well designed website on a premium domain name, you will build credibility, marketability, and trustworthiness with your customers. Furthermore, you will have full control over SEO. 

Trying to Do It All

When you are a business owner, your business is your baby. Many entrepreneurs try to take care of every aspect of the business on their own. However, it is important as the leader of your business to be able to recognize the places where your skills are strongest and delegate the other tasks to your team.

Ensure your business is made up of people with strengths where your talents may be weaker. When you have a solid team of individuals working with you, you should trust them and believe in their expertise. This will create a strong, hard working team. 

Not Protecting Intellectual Property

Depending on the type of products you have, you could be eligible for copyright or patent protection. This could include music, software, art, etc. Additionally, your business name, logo, slogan may be eligible for state or federal trademark protection. 

As a business owner, you should consider keeping track of your intellectual property and take the necessary steps to protect it. This will prevent any legal problems in the future and prevent competitors from copying your brand and products.

AdultBlock and defensive registration are amazing ways to protect your domain name. AdultBlock enables qualifying organizations to block the registration of any domain that falls under their trademark. This service will block registrations for your name across all four adult-themed TLDs: .dotXXX, .dotADULT, .dotSEX, and .dotPORN.

Not Setting Goals

In addition to creating your business plan, you should also have set goals for your business.

Clear, measurable and attainable goals are something every business should have written out.  Goals help you and your team stay organized, on track and motivated. They also give you something to reach for each day. These goals can be small victories or huge goals for five years down the road. Whatever your goals are, just ensure they are measurable and realistic to your company. 


At, we love domains and everything they encompass. With over twenty years of experience in the industry, we have made it our mission to help companies and organizations understand digital assets’ role in the ever-changing internet landscape, every step of the way. We specialize in domain acquisition, appraisal, company naming, branding, brand protection, portfolio management services and more.

No matter the nature, stage, or size of your company, we believe in helping you be seen online and we pride ourselves in our transparency through the entire process. If you are interested in speaking with an expert from our domain brokerage service about buying a domain, contact us! Our domain brokers would love to speak with you.